Fifth Sunday in Lent, Epistle, Year A

Fifth Sunday in Lent
Romans 8:6-11
Analysis by Bruce T. Martin

8:6 To set the mind on the flesh is death, but to set the mind on the Spirit is life and peace. 7 For this reason the mind that is set on the flesh is hostile to God; it does not submit to God’s law–indeed it cannot, 8 and those who are in the flesh cannot please God. 9 But you are not in the flesh; you are in the Spirit, since the Spirit of God dwells in you. Anyone who does not have the Spirit of Christ does not belong to him. 10 But if Christ is in you, though the body is dead because of sin, the Spirit is life because of righteousness. 11 If the Spirit of him who raised Jesus from the dead dwells in you, he who raised Christ from the dead will give life to your mortal bodies also through his Spirit that dwells in you.

Author’s Note: These six verses are set in both a Pauline-theological and a Romans-occasional context. They draw both theological and practical conclusions from Paul’s “crossing,” in 5:1—8:4, of Israel’s primary narrative (the Exodus) with Israel’s contemporary narrative (her never-ending Exile), both being focused on Israel’s Messiah/Christ. For this insight, I am indebted to the “New Perspectives” school of Pauline research as developed especially by N. T. Wright; see his recent The Day the Revolution Began. Two caveats: (1) In order for Paul’s crossing to work for us as it did for him, we must accept the notion that Israel’s history is paradigmatically human history writ large, not as a wild proposition but as the purpose for Israel’s election. Unless we, along with the recipients of Romans, see ourselves as Israel sees itself before God, then Israel’s Messiah will not be our Messiah as well. (2) For Paul, the abstractions of sin, death, flesh, spirit, and even law, are not abstractions at all but real “powers” over us; they cannot be wished away or ignored or un-believed away. Because they “determine” our lives, they must be confronted head-on. Secondly: the letter’s occasional context is Paul’s anticipated mission to Spain which required the various factions in the Roman church to settle their differences regarding the place of the Mosaic Law in church life (see Rom. 14-15). For Paul, presenting a united front in “the gospel of God” (1:1) was essential for the success of the Spanish mission. For this insight, I am indebted especially to Robert Jewett; see his Romans in the Hermeneia commentary series, or the essays in The Romans Debate edited by Karl Donfried. The Romans letter “crosses” Paul’s aim for a Spanish mission with his foundational story of the gospel (Adam/Exodus/Exile/Messiah), drawing formal conclusions in Chapter 8 and more practical conclusions in Chapters 12-16. For the analysis below, I am parsing verses 6-11 as Diagnosis in verses 6-8 and Prognosis in verses 9-11 (v. 5 is in nuce both Diagnosis and Prognosis). Paul is drawing conclusions that affect the Roman believers in their life together. The rest of Chapter 8 unfolds how the Roman believers already participate, bodily, in the birth pangs of the glorious new creation, that is, the Messianic Age.

DIAGNOSIS: Life Determined by the Flesh: A Matter of Life and Death

Step 1: Initial Diagnosis (External Problem): Life Determined by the Flesh
Summary: Roman believers who are still set on “the flesh” (literally, “determined by the flesh” in vv. 6-8) are at odds with Paul and themselves over the purpose and continued usefulness of the Mosaic Law.

The problem here is not only that the Roman believers are at odds with Paul, they are at odds with each other. In Paul’s analysis, they fail to appreciate that the Mosaic Law, in its totality, was intended by God to display the horrific magnitude of Israel’s sin. The totality of sin, both Jewish and Gentile, is personified by Paul as Sin, as a power that enslaves every human being. Sin gets its great power, its evilness, from idolatry–because worshiping a thing gives that thing power over you. But idolatry only shows itself as idolatry against the Mosaic Law which, among other things, demands faith in God alone. This was God’s purpose in giving the Law. Sin was dormant, so to speak, until the Law exposed it for what it really is. Israel’s continual idolatry heaped Sin upon her so much that she was enslaved by it. This enslavement corresponds to Israel’s previous enslavement by Pharaoh, and is the root cause of Israel’s continued slavery to the nations–which constitutes her continued Exile. In Paul’s further analysis, Sin (so identified by the Law) uses the weakness of human “flesh,” and the idolatry that ensues, to energize and to maintain and to magnify Sin. The consequence is that Israel is unable to free herself from her bondage to Sin and idolatry. In Paul’s summary fashion, Israel continues to be “determined” by “the flesh,” and the Mosaic Law offers no avenue for escape. Any of the Roman believers who think otherwise are deluding themselves. Squabbling among themselves as to life “determined by the Law” is a useless venture; it only proves that they are “determined by the flesh.”

Step 2: Advanced Diagnosis (Internal Problem): Life Determined by Sin and Death
Summary: Some Roman believers are unaware that life determined by the flesh is “hostile” (v. 7) to the purposes of God for humanity, and that such a “life” is [destined for] Death (v. 6).

Sin and its child, “the flesh,” prove to be “hostile” to God in that it is invariably idolatrous, and inescapably so. Human life, determined and enslaved as it is to Sin, produces nothing but evil and leads inexorably to Death. This, Paul says, is because our flesh cannot withstand the power of Sin. Our flesh is “weak.” The problem here is not our flesh per se but rather Sin that resides or dwells within us. The short-term result is a life (so-called) determined by the power of Sin, and therewith the fruits of the flesh which are evil. This life (so-called) terminates in its determined result: Death. Again, in Paul’s shorthand, such life is determined by Sin and Death. This kind of “determination” is just another way of saying “enslaved.” And who wants that?

Step 3: Final Diagnosis (Eternal Problem): Life Unpleasing to God
Summary: The Roman believers, if they have no part in the life of the Messiah/Christ, “cannot please God” (v. 8).

Life “under the Law” proves to be a death-spiral. Luther’s well-known axiom to describe this affair, that is, the idolater’s continual idolatry, was a life “curved in upon itself” (curvatus in se). Like a dog chasing its own tail, the Law, as lex, cannot achieve any sort of relief from the predicament that the Law presents to us. The Law exposes Sin for what it is, and Sin works idolatry and Death in us. In all this we are being “determined.” Consequently, no one can “please God” while being endlessly accused of idolatry, and Death is no one’s friend. Another axiom, “the Law always accuses” (lex semper accusat) summarizes God’s intention in giving the Law, how it works on us, and its inescapability. But this was hardly self-evident to Israel or to some of the Roman believers who were asked to “keep the Law” despite Israel’s constant chastisement and ongoing Exile. Such life “under the Law” is, accordingly, “cursed” as unpleasing to God. Therefore Israel, representing humanity before God, continued to display her Sin as idolatrous, without end, and so to pile up Sin against herself—until . . .

PROGNOSIS: Life Determined by the Spirit: A Matter of Death and Life

Step 4: Initial Prognosis (Eternal Solution): Life Pleasing to God
Summary: Israel’s Messiah, whose life is determined by the Spirit of God, condemned Sin in his crucifixion and vanquished Death in his resurrection (v. 11)—making him “well-pleasing” to God (Mark 1:11) in his ministry and in his death—whose Spirit now “dwells” (v. 9) within the Roman believers.

. . . at the right moment, the entirety of Israel’s Sin came to be focused upon Israel’s Messiah at the point of his crucifixion. As Israel’s Messiah/Christ, Jesus of Nazareth represents all of Israel, and through Israel all of humanity, in his body. This, according to Paul, is how God condemned Sin in the Messiah’s sinless, Spirit-determined, flesh (8:3). Having put Sin to death on the cross, Death itself, as Sin’s consequence, retained no power over the Messiah. Jesus’ resurrection from the dead was not some miracle suddenly intruding into a world of cause and effect, but rather the reality of a Spirit-determined life when Death is no more. Jesus’ resurrection, like his ministry, is what God’s Life and Spirit looks like against the backdrop of Sin and Death. Indeed, it must be said that God himself, in the flesh of the Messiah, bore the full weight of Sin, that is, the world’s full accumulation of Sin, and for all time to come condemned it to oblivion. In the Messiah, and in all those who are “in Christ,” God has inaugurated a new-creation, in the midst of the old, that will one day openly reveal itself, fully and gloriously, as God’s new-creation partner, or as Paul says, God’s “children” (8:14-39). In Christ himself, and for all those in whom he “dwells” [this word signals the dwelling of God’s Presence, his Glory, among his people, as in the Tabernacle and in the Temple], the Exile at last is ended and the Messianic Age has begun.

Step 5: Advanced Prognosis (Internal Solution): Life in the Spirit
Summary: Being determined now by the Spirit of God, the Roman believers participate in the life of the Messiah, that is, in “righteousness” (v. 10).

The Power that determines new-creation Life is the Spirit of God—which is simply a story-telling way of saying, “God.” We moderns may have difficulty with the personification of Sin, Death, Flesh, and Spirit, but their reality as determinative “powers” were clearly understood by the recipients of Paul’s letters. It is easier for us to understand “Spirit” as a power than Sin, but that is because we have no doubts about the reality of God and the reality of Christ; verse 11 is an example of this incipient trinitarianism. And Death proves itself every day to be a reality that cannot be ignored. And yet the so-called abstractions we call Faith and Love are overwhelming powers in our lives. They, too, are powers determining our lives. Specifically, faith in Christ is nothing other than the life-determining power of God’s Spirit working the new-creation in us; see Paul’s opening thesis in 1:16-17. Such power may appear to others as feeble, but no more or less feeble looking than in Jesus’ own life and ministry. This is what enfleshed “righteousness” looks like! Nonetheless, as we know, and as the Roman believers knew, we who are “home” to the Spirit of Christ have already, by that very experience, passed from Death to Life.

********
No. 1
VASP calculation (PBE-GGA) on NbCoIrRh after structural relaxation.

Results
Mass density, Mg/m³: 13.11
E, hartree per atom: -0.322
Total magnetization, μB/f.u.: 0.0
ΔH_f (0 K), kJ/mol of atoms: -39.7
Fermi-level density of states, states/eV/f.u.: 2.86

a b c (Å): 3.805 3.861 3.854
angles (deg): 90.00 90.00 90.00
Element x y z (fractional)
Co  0.500  0.500  0.000
Ir  0.000  0.000  0.000
Nb  0.500  0.000  0.500
Rh  0.000  0.500  0.500

=====

No. 2
VASP calculation (PBE-GGA) on Be3CoP after structural relaxation.

Results
Mass density, Mg/m³: 3.19
E, hartree per atom: -0.147
Total magnetization, μB/f.u.: 0.0
ΔH_f (0 K), kJ/mol of atoms: 70.9
Fermi-level density of states, states/eV/f.u.: 2.00

a b c (Å): 3.936 3.936 3.936
angles (deg): 90.00 90.00 90.00
Element x y z (fractional)
Be  0.500  0.000  0.000
Be  0.000  0.500  0.000
Be  0.000  0.000  0.500
P  0.500  0.500  0.500
Co  0.000  0.000  0.000

=====

No. 3
VASP calculation (PBE-GGA) on TaSn2H2O6 after structural relaxation.

Results
Mass density, Mg/m³: 7.19
E, hartree per atom: -0.233
Total magnetization, μB/f.u.: 0.0
Fermi-level density of states, states/eV/f.u.: 3.01

a b c (Å): 5.194 5.194 5.920
angles (deg): 63.98 63.98 60.00
Element x y z (fractional)
Ta  0.000  0.000  0.000
O  0.744  0.744  0.250
O  0.256  0.739  0.750
O  0.744  0.261  0.250
O  0.261  0.744  0.250
O  0.256  0.256  0.750
O  0.739  0.256  0.750
Sn  0.211  0.211  0.368
Sn  0.789  0.789  0.632
H  0.582  0.582  0.255
H  0.418  0.418  0.745

~~~~~

This record from Alexandria describes a relaxed structure of LiMn2CoF. The functional is PBE+U.

Summary:
Energy (eV/cell): -23.6
Size of the total moment (μB/atom): 2.305
********

Step 6: Final Prognosis (External Solution): Life Determined by the Messiah/Christ Summary: Roman believers, no longer subject to Sin and Death, now “belong to him [Messiah]” (v. 9), and thus are free to live and to love as the Messiah/Christ lives and loves – cruciform!

No longer subject to the power of Sin, nor captive to the desires of the Flesh, nor frightened with the apparent finality of Death, the Roman believers (and we) are now determined by the Messiah who lives in us and we in him. They (and we) are no longer captive to the flesh but to Jesus the Christ. The Law has done its job; its purpose is fulfilled. From now on, the Spirit will fulfill the Messiah’s purpose in us, for the benefit of the world. United in the same Spirit, we can set aside the demands of the Law that had promised, falsely, an escape from Sin and Death. Determined now by the Spirit of Christ, we can abandon the desires of the flesh and its idolatries (notably, for us, what we call “health”). We see how life determined by the flesh leads to Death, for we experience every day the death throes, the death rattles, that signal the freedom of our flesh from its bondage to Sin. Our bodies are now temples of the Spirit to whom we are in glad captivity (12:1-2; see 1 Cor. 6:19-20). We are determined by the Spirit, by the mind of the Spirit, by our renewed mind, to live for others as Christ lives for us. As Jesus was “sent” (8:3) into the world of Sin and Death, we also are “sent” into the sin-soaked world (10:5), not by compulsion but as Spirit-determined, free human beings, so as to bring the Messianic Age into reality. The world will heap its idol-worshiping powers upon us, just as it did to Jesus, and we will suffer the world’s evil in our own bodies. But, as we can see in Jesus before us and in us, this suffering (which in truth is Christ’s suffering) points the world in the direction of God’s new-creation. The kingdom of the Messiah cannot be measured as the world measures, but we know it and we feel it in our bodies. Our Spirit-determined lives, sent by God and suffering on behalf of others, are like bread crumbs showing the world the way to human freedom, even to the Life of God. We don’t know exactly how the Roman believers responded to Paul’s letter, but nearly 2000 years after Paul was martyred the Roman church quickly became, and remains a symbolic focal point of the body of Christ.